Job
Type out the whole of the listing underneath unchanged, please.
Entries
Record 1
Formula: C37H38Cl2MoO2P2
Source: the OMol25 dataset
Level of theory: ωB97M-V/def2-TZVPD

```
82
Properties=species:S:1:pos:R:3:forces:R:3
Mo 1.5275 -0.7350 2.1369 4.794 -4.437 3.415
C -2.3848 -0.5424 -4.3254 0.501 -0.026 -0.141
C -1.4085 0.3749 -4.2873 -0.223 -0.331 -0.365
C -1.5616 1.8688 -4.3811 -0.100 0.238 0.164
C -2.9138 2.4479 -3.9150 0.114 0.413 -0.349
C -3.3447 2.0743 -2.5234 -0.285 -0.067 0.319
C -4.0527 0.9955 -2.1663 -0.152 0.458 -0.024
C -4.5886 -0.0862 -3.0610 0.083 -0.308 -0.200
C -3.8647 -0.2915 -4.4096 -0.482 -0.165 -0.219
C 1.2504 -0.3925 4.3265 -0.325 0.887 0.822
H -2.1154 -1.6035 -4.4083 0.137 0.410 0.310
H -0.3651 0.0400 -4.3170 -0.292 -0.132 0.025
H -1.4177 2.1998 -5.4265 0.103 -0.217 0.335
H -0.7438 2.3349 -3.8075 -0.166 0.008 -0.092
H -2.8264 3.5443 -3.9548 -0.036 -0.285 -0.019
H -3.6793 2.1857 -4.6520 0.215 0.294 0.336
H -3.1337 2.8489 -1.7741 -0.019 -0.432 -0.027
H -4.4083 0.9046 -1.1336 0.250 0.176 -0.182
H -5.6507 0.1099 -3.2954 0.303 0.005 0.231
H -4.5822 -1.0313 -2.4948 0.013 0.170 -0.158
H -4.3217 -1.1718 -4.8863 0.087 0.267 0.111
H -4.0919 0.5544 -5.0665 0.079 -0.470 0.092
H 1.1732 -1.4438 4.6940 0.004 0.348 -0.708
H 0.4335 0.2109 4.7543 0.391 -0.192 -0.344
H 2.2353 0.0277 4.6378 -0.492 -0.126 -0.564
P 1.6675 -0.5407 -0.2701 -0.357 0.597 -2.753
P -0.3456 0.6417 1.9247 -2.729 2.203 0.302
C 0.3113 0.5344 -0.7397 -1.364 0.840 0.556
C -0.4879 1.1160 0.1989 0.917 -0.445 -1.520
C 3.1669 0.1239 -1.0652 0.367 0.313 0.675
C 3.1348 0.8320 -2.2740 -0.118 -0.001 -0.066
C 4.3247 1.3118 -2.8302 -0.107 -0.091 0.101
C 5.5467 1.1155 -2.1780 -0.292 -0.217 0.156
C 5.5749 0.4280 -0.9632 -0.099 -0.047 0.065
C 4.3923 -0.0478 -0.3987 -0.149 -0.060 -0.099
C 1.3631 -2.1909 -1.0295 0.169 -0.001 0.589
C 0.3718 -3.0035 -0.4589 0.221 -0.295 -0.049
C 0.1643 -4.2960 -0.9480 -0.137 0.105 0.132
C 0.9198 -4.7801 -2.0201 0.057 0.356 0.168
C 1.9088 -3.9707 -2.5891 -0.105 0.204 0.146
C 2.1445 -2.6894 -2.0848 0.152 -0.002 0.056
C -0.4989 2.2283 2.8239 0.386 -0.042 0.251
C 0.6438 3.0380 2.8617 -0.216 0.116 0.181
C 0.6122 4.2515 3.5496 0.027 -0.046 -0.068
C -0.5547 4.6646 4.2017 -0.020 -0.317 -0.160
C -1.6976 3.8588 4.1620 0.199 -0.056 -0.120
C -1.6709 2.6393 3.4809 0.159 -0.125 -0.083
C -1.8971 -0.2442 2.3115 0.428 -0.495 -0.301
C -1.9091 -1.1483 3.3822 -0.248 -0.022 -0.107
C -3.0935 -1.8214 3.6946 0.089 0.023 -0.009
C -4.2424 -1.6175 2.9262 0.186 0.147 -0.043
C -4.2176 -0.7351 1.8382 0.247 0.015 0.133
C -3.0405 -0.0561 1.5248 -0.031 -0.023 0.046
H 0.1358 0.6815 -1.8106 -0.008 0.182 0.291
H -1.2245 1.8908 -0.0477 0.147 -0.455 -0.170
H 2.1788 1.0042 -2.7713 0.362 -0.007 -0.031
H 4.3033 1.8384 -3.7834 -0.070 -0.102 0.257
H 6.4740 1.4930 -2.6105 -0.307 -0.109 0.088
H 6.5170 0.2501 -0.4475 -0.209 0.114 -0.102
H 4.4142 -0.5555 0.5663 0.167 0.033 -0.252
H -0.2123 -2.6304 0.3867 -0.160 -0.105 -0.168
H -0.5895 -4.9331 -0.4861 0.175 0.190 -0.128
H 0.7505 -5.7889 -2.3994 0.039 0.317 0.129
H 2.5081 -4.3445 -3.4197 -0.158 0.151 0.241
H 2.9439 -2.0805 -2.5014 -0.154 -0.127 0.035
H 1.5523 2.7071 2.3533 -0.074 0.221 0.117
H 1.5043 4.8750 3.5759 -0.219 -0.128 0.016
H -0.5717 5.6089 4.7462 0.016 -0.262 -0.177
H -2.6115 4.1751 4.6675 0.289 -0.111 -0.163
H -2.5557 2.0062 3.4652 0.142 0.141 0.029
H -1.0020 -1.3106 3.9665 -0.441 -0.001 -0.021
H -3.1140 -2.4993 4.5479 -0.025 0.135 -0.271
H -5.1607 -2.1493 3.1726 0.238 0.147 -0.047
H -5.1125 -0.5696 1.2379 0.244 -0.082 0.166
H -3.0016 0.6195 0.6719 -0.154 -0.165 0.151
Cl 5.0090 -3.8900 4.2107 0.062 0.091 -0.148
C 5.4091 -2.5086 3.1918 -1.014 0.715 0.214
Cl 5.9187 -2.9669 1.5620 0.005 -0.024 0.005
C 4.1518 -1.5599 3.0396 3.218 -0.015 0.919
O 4.3700 -0.3565 3.2551 -2.031 -1.081 -0.950
O 3.0609 -2.1451 2.6956 -2.136 1.405 -0.814
H 6.1983 -1.9278 3.6701 -0.078 -0.193 -0.167
```
Positions in Å, forces in eV/Å.

Results
- Charge: +2
- <S²>: 2.33
- Spin multiplicity: 3
- Gap between HOMO and LUMO (alpha / beta): 3.68 / 4.47 eV
- HOMO (alpha / beta): -13.22 / -13.22 eV



Record 2
Here it is
Record 1
Formula: C37H38Cl2MoO2P2
Source: the OMol25 dataset
Level of theory: ωB97M-V/def2-TZVPD

```
82
Properties=species:S:1:pos:R:3:forces:R:3
Mo 1.5275 -0.7350 2.1369 4.794 -4.437 3.415
C -2.3848 -0.5424 -4.3254 0.501 -0.026 -0.141
C -1.4085 0.3749 -4.2873 -0.223 -0.331 -0.365
C -1.5616 1.8688 -4.3811 -0.100 0.238 0.164
C -2.9138 2.4479 -3.9150 0.114 0.413 -0.349
C -3.3447 2.0743 -2.5234 -0.285 -0.067 0.319
C -4.0527 0.9955 -2.1663 -0.152 0.458 -0.024
C -4.5886 -0.0862 -3.0610 0.083 -0.308 -0.200
C -3.8647 -0.2915 -4.4096 -0.482 -0.165 -0.219
C 1.2504 -0.3925 4.3265 -0.325 0.887 0.822
H -2.1154 -1.6035 -4.4083 0.137 0.410 0.310
H -0.3651 0.0400 -4.3170 -0.292 -0.132 0.025
H -1.4177 2.1998 -5.4265 0.103 -0.217 0.335
H -0.7438 2.3349 -3.8075 -0.166 0.008 -0.092
H -2.8264 3.5443 -3.9548 -0.036 -0.285 -0.019
H -3.6793 2.1857 -4.6520 0.215 0.294 0.336
H -3.1337 2.8489 -1.7741 -0.019 -0.432 -0.027
H -4.4083 0.9046 -1.1336 0.250 0.176 -0.182
H -5.6507 0.1099 -3.2954 0.303 0.005 0.231
H -4.5822 -1.0313 -2.4948 0.013 0.170 -0.158
H -4.3217 -1.1718 -4.8863 0.087 0.267 0.111
H -4.0919 0.5544 -5.0665 0.079 -0.470 0.092
H 1.1732 -1.4438 4.6940 0.004 0.348 -0.708
H 0.4335 0.2109 4.7543 0.391 -0.192 -0.344
H 2.2353 0.0277 4.6378 -0.492 -0.126 -0.564
P 1.6675 -0.5407 -0.2701 -0.357 0.597 -2.753
P -0.3456 0.6417 1.9247 -2.729 2.203 0.302
C 0.3113 0.5344 -0.7397 -1.364 0.840 0.556
C -0.4879 1.1160 0.1989 0.917 -0.445 -1.520
C 3.1669 0.1239 -1.0652 0.367 0.313 0.675
C 3.1348 0.8320 -2.2740 -0.118 -0.001 -0.066
C 4.3247 1.3118 -2.8302 -0.107 -0.091 0.101
C 5.5467 1.1155 -2.1780 -0.292 -0.217 0.156
C 5.5749 0.4280 -0.9632 -0.099 -0.047 0.065
C 4.3923 -0.0478 -0.3987 -0.149 -0.060 -0.099
C 1.3631 -2.1909 -1.0295 0.169 -0.001 0.589
C 0.3718 -3.0035 -0.4589 0.221 -0.295 -0.049
C 0.1643 -4.2960 -0.9480 -0.137 0.105 0.132
C 0.9198 -4.7801 -2.0201 0.057 0.356 0.168
C 1.9088 -3.9707 -2.5891 -0.105 0.204 0.146
C 2.1445 -2.6894 -2.0848 0.152 -0.002 0.056
C -0.4989 2.2283 2.8239 0.386 -0.042 0.251
C 0.6438 3.0380 2.8617 -0.216 0.116 0.181
C 0.6122 4.2515 3.5496 0.027 -0.046 -0.068
C -0.5547 4.6646 4.2017 -0.020 -0.317 -0.160
C -1.6976 3.8588 4.1620 0.199 -0.056 -0.120
C -1.6709 2.6393 3.4809 0.159 -0.125 -0.083
C -1.8971 -0.2442 2.3115 0.428 -0.495 -0.301
C -1.9091 -1.1483 3.3822 -0.248 -0.022 -0.107
C -3.0935 -1.8214 3.6946 0.089 0.023 -0.009
C -4.2424 -1.6175 2.9262 0.186 0.147 -0.043
C -4.2176 -0.7351 1.8382 0.247 0.015 0.133
C -3.0405 -0.0561 1.5248 -0.031 -0.023 0.046
H 0.1358 0.6815 -1.8106 -0.008 0.182 0.291
H -1.2245 1.8908 -0.0477 0.147 -0.455 -0.170
H 2.1788 1.0042 -2.7713 0.362 -0.007 -0.031
H 4.3033 1.8384 -3.7834 -0.070 -0.102 0.257
H 6.4740 1.4930 -2.6105 -0.307 -0.109 0.088
H 6.5170 0.2501 -0.4475 -0.209 0.114 -0.102
H 4.4142 -0.5555 0.5663 0.167 0.033 -0.252
H -0.2123 -2.6304 0.3867 -0.160 -0.105 -0.168
H -0.5895 -4.9331 -0.4861 0.175 0.190 -0.128
H 0.7505 -5.7889 -2.3994 0.039 0.317 0.129
H 2.5081 -4.3445 -3.4197 -0.158 0.151 0.241
H 2.9439 -2.0805 -2.5014 -0.154 -0.127 0.035
H 1.5523 2.7071 2.3533 -0.074 0.221 0.117
H 1.5043 4.8750 3.5759 -0.219 -0.128 0.016
H -0.5717 5.6089 4.7462 0.016 -0.262 -0.177
H -2.6115 4.1751 4.6675 0.289 -0.111 -0.163
H -2.5557 2.0062 3.4652 0.142 0.141 0.029
H -1.0020 -1.3106 3.9665 -0.441 -0.001 -0.021
H -3.1140 -2.4993 4.5479 -0.025 0.135 -0.271
H -5.1607 -2.1493 3.1726 0.238 0.147 -0.047
H -5.1125 -0.5696 1.2379 0.244 -0.082 0.166
H -3.0016 0.6195 0.6719 -0.154 -0.165 0.151
Cl 5.0090 -3.8900 4.2107 0.062 0.091 -0.148
C 5.4091 -2.5086 3.1918 -1.014 0.715 0.214
Cl 5.9187 -2.9669 1.5620 0.005 -0.024 0.005
C 4.1518 -1.5599 3.0396 3.218 -0.015 0.919
O 4.3700 -0.3565 3.2551 -2.031 -1.081 -0.950
O 3.0609 -2.1451 2.6956 -2.136 1.405 -0.814
H 6.1983 -1.9278 3.6701 -0.078 -0.193 -0.167
```
Positions in Å, forces in eV/Å.

Results
- Charge: +2
- <S²>: 2.33
- Spin multiplicity: 3
- Gap between HOMO and LUMO (alpha / beta): 3.68 / 4.47 eV
- HOMO (alpha / beta): -13.22 / -13.22 eV



Record 2